Activity:
Echo the entries below verbatim.

Input:
'''
w.
{"formula": "C4H8N2O2", "method": "ωB97M-V/def2-TZVPD", "elements": ["C", "C", "O", "O", "N", "H", "H", "H", "H", "H", "C", "C", "N", "H", "H", "H"], "xyz": [[-2.111, -0.945, -0.634], [-1.103, -0.263, 0.267], [-1.079, -0.503, 1.451], [-1.169, 1.195, -0.154], [-1.095, 2.191, 0.821], [-2.060, -2.028, -0.537], [-3.117, -0.713, -0.282], [-2.096, -0.529, -1.637], [-0.392, 2.826, 0.439], [-0.766, 1.803, 1.707], [2.744, -0.900, -0.232], [1.603, 0.014, -0.190], [1.388, 1.164, -0.262], [2.894, -1.386, 0.732], [3.678, -0.361, -0.394], [2.681, -1.562, -1.095]], "lumo_ha": [0.0000, 0.0000], "smiles": "CC(=O)ON.CC#N", "homo_energy_ev": [-8.802, -8.802], "homo_lumo_gap_ev": [8.80, 8.80]}



x.
{"formula": "C4H8N2O2", "method": "ωB97M-V/def2-TZVPD", "elements": ["C", "C", "N", "C", "C", "O", "N", "O", "H", "H", "H", "H", "H", "H", "H", "H"], "xyz": [[2.647, -0.420, -0.350], [1.258, 0.024, -0.203], [0.261, -0.771, -0.247], [-0.943, 0.022, -0.073], [-1.855, -0.447, 0.976], [-1.619, 0.258, -1.326], [-0.431, 1.364, 0.315], [0.911, 1.363, 0.041], [3.213, 0.178, 0.385], [3.083, -0.053, -1.209], [2.730, -1.498, -0.229], [-2.435, -1.232, 0.806], [-2.522, 0.296, 1.249], [-1.318, -0.634, 1.859], [-2.098, -0.513, -1.580], [-0.880, 2.063, -0.414]], "lumo_ha": 0.0343, "smiles": "CC1=N[C@](C)(O)NO1", "homo_energy_ev": -9.073, "homo_lumo_gap_ev": 10.01}



Short version: w is the least stable of them.



w.
{"formula": "C6H11N3OS", "method": "ωB97M-V/def2-TZVPD", "elements": ["C", "C", "C", "C", "C", "C", "N", "N", "N", "O", "S", "H", "H", "H", "H", "H", "H", "H", "H", "H", "H", "H"], "xyz": [[1.134, 1.737, -0.004], [1.419, 0.403, -0.211], [-1.682, -0.164, -0.290], [2.871, 0.180, -0.387], [-2.718, -0.665, 0.678], [-0.829, -2.316, -0.985], [0.725, -0.561, -0.740], [-0.569, -0.901, -0.703], [1.455, 2.544, 0.988], [-1.880, 2.332, 0.664], [-1.118, 1.552, -0.324], [3.044, -0.798, -0.789], [3.370, 1.028, -0.772], [3.297, 0.170, 0.587], [-3.694, -0.881, 0.190], [-2.348, -1.509, 1.229], [-2.793, 0.210, 1.373], [-0.566, -2.507, -2.089], [-0.169, -3.011, -0.323], [-1.844, -2.595, -0.820], [1.876, 2.290, 1.850], [1.022, 3.463, 0.879]], "lumo_ha": [0.0051, 0.0051], "homo_energy_ev": [-7.505, -7.506], "homo_lumo_gap_ev": [7.64, 7.64]}



x.
{"formula": "C6H11N3OS", "method": "ωB97M-V/def2-TZVPD", "elements": ["C", "C", "C", "C", "C", "C", "N", "N", "N", "O", "S", "H", "H", "H", "H", "H", "H", "H", "H", "H", "H", "H"], "xyz": [[-2.886, -0.017, 0.108], [-0.559, 0.469, 0.584], [1.710, 1.108, -0.423], [0.507, -0.717, -1.463], [1.282, -1.087, 0.889], [0.716, -0.056, -0.072], [-2.882, 1.071, -0.805], [-2.002, 1.814, -0.914], [-1.674, -0.350, 0.522], [-0.370, 1.083, 1.827], [-4.301, -0.808, 0.378], [1.269, 1.635, -1.291], [2.640, 0.707, -0.683], [1.898, 1.835, 0.378], [0.256, -1.794, -1.434], [-0.154, -0.160, -2.099], [1.473, -0.755, -1.973], [0.957, -2.050, 0.618], [1.009, -0.961, 1.873], [2.358, -1.329, 0.924], [-1.728, -1.048, 1.236], [0.481, 1.408, 1.821]], "lumo_ha": [-0.0230, -0.0172], "homo_energy_ev": [-8.281, -8.111], "homo_lumo_gap_ev": [7.65, 7.64]}



y.
{"formula": "C6H11N3OS", "method": "ωB97M-V/def2-TZVPD", "elements": ["H", "N", "C", "S", "C", "C", "C", "N", "N", "C", "C", "O", "H", "H", "H", "H", "H", "H", "H", "H", "H", "H"], "xyz": [[0.955, 1.590, -2.109], [0.891, 0.564, -2.108], [0.414, 0.039, -1.101], [0.202, -1.872, -0.859], [-0.733, -1.328, 0.562], [-1.236, -2.181, 1.705], [0.028, -2.970, 2.048], [-0.849, -0.114, 0.847], [-0.269, 0.762, -0.131], [-0.679, 2.236, -0.091], [0.566, 2.899, 0.431], [1.145, 3.364, -0.882], [-1.847, -3.019, 1.407], [-1.611, -1.436, 2.405], [-0.347, -3.499, 3.111], [1.195, -2.348, 2.040], [0.127, -3.973, 1.261], [-1.377, 2.194, 0.846], [-1.149, 2.562, -1.033], [-0.058, 3.741, 1.089], [1.402, 2.182, 1.089], [1.754, 4.396, -0.873]], "lumo_ha": 0.0142, "smiles": "[H]/N=c1/sc(CC)nn1CCO", "homo_energy_ev": -8.030, "homo_lumo_gap_ev": 8.42}



z.
'''

Reply:
w.
{"formula": "C4H8N2O2", "method": "ωB97M-V/def2-TZVPD", "elements": ["C", "C", "O", "O", "N", "H", "H", "H", "H", "H", "C", "C", "N", "H", "H", "H"], "xyz": [[-2.111, -0.945, -0.634], [-1.103, -0.263, 0.267], [-1.079, -0.503, 1.451], [-1.169, 1.195, -0.154], [-1.095, 2.191, 0.821], [-2.060, -2.028, -0.537], [-3.117, -0.713, -0.282], [-2.096, -0.529, -1.637], [-0.392, 2.826, 0.439], [-0.766, 1.803, 1.707], [2.744, -0.900, -0.232], [1.603, 0.014, -0.190], [1.388, 1.164, -0.262], [2.894, -1.386, 0.732], [3.678, -0.361, -0.394], [2.681, -1.562, -1.095]], "lumo_ha": [0.0000, 0.0000], "smiles": "CC(=O)ON.CC#N", "homo_energy_ev": [-8.802, -8.802], "homo_lumo_gap_ev": [8.80, 8.80]}



x.
{"formula": "C4H8N2O2", "method": "ωB97M-V/def2-TZVPD", "elements": ["C", "C", "N", "C", "C", "O", "N", "O", "H", "H", "H", "H", "H", "H", "H", "H"], "xyz": [[2.647, -0.420, -0.350], [1.258, 0.024, -0.203], [0.261, -0.771, -0.247], [-0.943, 0.022, -0.073], [-1.855, -0.447, 0.976], [-1.619, 0.258, -1.326], [-0.431, 1.364, 0.315], [0.911, 1.363, 0.041], [3.213, 0.178, 0.385], [3.083, -0.053, -1.209], [2.730, -1.498, -0.229], [-2.435, -1.232, 0.806], [-2.522, 0.296, 1.249], [-1.318, -0.634, 1.859], [-2.098, -0.513, -1.580], [-0.880, 2.063, -0.414]], "lumo_ha": 0.0343, "smiles": "CC1=N[C@](C)(O)NO1", "homo_energy_ev": -9.073, "homo_lumo_gap_ev": 10.01}



Short version: w is the least stable of them.



w.
{"formula": "C6H11N3OS", "method": "ωB97M-V/def2-TZVPD", "elements": ["C", "C", "C", "C", "C", "C", "N", "N", "N", "O", "S", "H", "H", "H", "H", "H", "H", "H", "H", "H", "H", "H"], "xyz": [[1.134, 1.737, -0.004], [1.419, 0.403, -0.211], [-1.682, -0.164, -0.290], [2.871, 0.180, -0.387], [-2.718, -0.665, 0.678], [-0.829, -2.316, -0.985], [0.725, -0.561, -0.740], [-0.569, -0.901, -0.703], [1.455, 2.544, 0.988], [-1.880, 2.332, 0.664], [-1.118, 1.552, -0.324], [3.044, -0.798, -0.789], [3.370, 1.028, -0.772], [3.297, 0.170, 0.587], [-3.694, -0.881, 0.190], [-2.348, -1.509, 1.229], [-2.793, 0.210, 1.373], [-0.566, -2.507, -2.089], [-0.169, -3.011, -0.323], [-1.844, -2.595, -0.820], [1.876, 2.290, 1.850], [1.022, 3.463, 0.879]], "lumo_ha": [0.0051, 0.0051], "homo_energy_ev": [-7.505, -7.506], "homo_lumo_gap_ev": [7.64, 7.64]}



x.
{"formula": "C6H11N3OS", "method": "ωB97M-V/def2-TZVPD", "elements": ["C", "C", "C", "C", "C", "C", "N", "N", "N", "O", "S", "H", "H", "H", "H", "H", "H", "H", "H", "H", "H", "H"], "xyz": [[-2.886, -0.017, 0.108], [-0.559, 0.469, 0.584], [1.710, 1.108, -0.423], [0.507, -0.717, -1.463], [1.282, -1.087, 0.889], [0.716, -0.056, -0.072], [-2.882, 1.071, -0.805], [-2.002, 1.814, -0.914], [-1.674, -0.350, 0.522], [-0.370, 1.083, 1.827], [-4.301, -0.808, 0.378], [1.269, 1.635, -1.291], [2.640, 0.707, -0.683], [1.898, 1.835, 0.378], [0.256, -1.794, -1.434], [-0.154, -0.160, -2.099], [1.473, -0.755, -1.973], [0.957, -2.050, 0.618], [1.009, -0.961, 1.873], [2.358, -1.329, 0.924], [-1.728, -1.048, 1.236], [0.481, 1.408, 1.821]], "lumo_ha": [-0.0230, -0.0172], "homo_energy_ev": [-8.281, -8.111], "homo_lumo_gap_ev": [7.65, 7.64]}



y.
{"formula": "C6H11N3OS", "method": "ωB97M-V/def2-TZVPD", "elements": ["H", "N", "C", "S", "C", "C", "C", "N", "N", "C", "C", "O", "H", "H", "H", "H", "H", "H", "H", "H", "H", "H"], "xyz": [[0.955, 1.590, -2.109], [0.891, 0.564, -2.108], [0.414, 0.039, -1.101], [0.202, -1.872, -0.859], [-0.733, -1.328, 0.562], [-1.236, -2.181, 1.705], [0.028, -2.970, 2.048], [-0.849, -0.114, 0.847], [-0.269, 0.762, -0.131], [-0.679, 2.236, -0.091], [0.566, 2.899, 0.431], [1.145, 3.364, -0.882], [-1.847, -3.019, 1.407], [-1.611, -1.436, 2.405], [-0.347, -3.499, 3.111], [1.195, -2.348, 2.040], [0.127, -3.973, 1.261], [-1.377, 2.194, 0.846], [-1.149, 2.562, -1.033], [-0.058, 3.741, 1.089], [1.402, 2.182, 1.089], [1.754, 4.396, -0.873]], "lumo_ha": 0.0142, "smiles": "[H]/N=c1/sc(CC)nn1CCO", "homo_energy_ev": -8.030, "homo_lumo_gap_ev": 8.42}



z.